This was a gift for my secret pal. It's a candle, an ornament, soap, nameplate, and hand towel. It was hard for me not to keep it since it had B intial.
This isn't really a "craft" but I'm proud of it none the less. I only designed the graphic, I did not print it or apply it. I was really nervous about designing because it is so permanent.
I created these invitations using my cricut. The theme of the shower is a diaper and wipes shower, so I thought a diaper invitation would be perfect. They were fun to make.
I found this bag at Old Time Pottery and had to have it for Troy. It will be perfect to take to Troy games and once Troy is too old for a diaper bag, it will still be useful for Troy games.
I also made a diaper and wipes case out of a placemat. The red towel will be used as a changing pad in public places.
I etched these plates for my mother for Mother's Day. She is always having her sistas over for dinner, desserts, snacks, etc, so I figured she could use these to entertain.
I got this idea off a craft board. It's hangers to separate the sizes in Troy's closet. I got all the supplies from Hobby Lobby. Brian painted and cut the slot in the hanger and I made the numbers and words using my cricut. We bought the animals already painted.
• Here the text breaks off for calculated molecules:
........
# C13H52O13

13 unconnected molecules or ions with the total composition C13H52O13 (wB97M-V/def2-TZVPD, the Open Molecules 2025 dataset).

Properties
* energy relative to the best compared isomer or geometry (same formula, charge and spin): 5.3078 eV
* frontier orbital gap: 10.03 eV
* spin multiplicity: 1

Geometry (Å):
C -2.569 -27.052 22.040
O -3.654 -26.403 21.339
H -2.431 -27.995 21.512
H -1.690 -26.410 22.101
H -2.887 -27.389 23.027
H -3.965 -26.890 20.572
C -11.136 -24.718 15.282
O -11.190 -25.913 16.023
H -12.140 -24.371 15.034
H -10.860 -23.942 15.996
H -10.398 -24.745 14.481
H -11.939 -26.420 15.701
C -12.925 -16.937 24.852
O -11.611 -16.825 24.365
H -12.970 -17.628 25.694
H -13.358 -15.980 25.142
H -13.592 -17.428 24.144
H -11.270 -17.682 24.099
C -2.592 -16.414 21.038
O -1.903 -15.811 20.023
H -1.801 -16.850 21.648
H -3.118 -15.713 21.686
H -3.329 -17.163 20.749
H -2.619 -15.485 19.472
C -13.424 -19.094 15.471
O -14.623 -19.685 15.903
H -12.507 -19.261 16.037
H -13.071 -19.593 14.568
H -13.532 -18.013 15.382
H -15.366 -19.347 15.398
C -16.626 -22.490 20.941
O -15.380 -22.642 20.193
H -16.553 -21.572 21.524
H -17.525 -22.493 20.324
H -16.844 -23.362 21.556
H -15.474 -22.004 19.481
C -5.616 -27.128 15.573
O -6.386 -27.558 16.604
H -6.070 -27.298 14.597
H -5.496 -26.056 15.726
H -4.650 -27.630 15.505
H -7.292 -27.441 16.308
C -6.551 -18.575 16.212
O -6.917 -17.665 17.261
H -5.808 -18.190 15.513
H -6.323 -19.581 16.566
H -7.381 -18.794 15.542
H -7.567 -18.049 17.855
C -13.414 -28.118 22.114
O -12.382 -27.186 22.149
H -13.599 -28.601 21.155
H -13.343 -28.934 22.834
H -14.231 -27.546 22.554
H -12.520 -26.651 21.363
C -8.510 -22.330 20.720
O -9.578 -21.406 20.770
H -8.662 -23.256 20.165
H -7.614 -21.812 20.379
H -8.136 -22.586 21.711
H -10.448 -21.809 20.715
C -8.046 -20.431 27.764
O -8.555 -21.090 28.925
H -8.544 -20.963 26.954
H -8.395 -19.400 27.706
H -6.972 -20.615 27.714
H -8.395 -22.036 28.898
C -1.819 -22.028 24.824
O -2.833 -21.990 23.817
H -2.144 -21.403 25.655
H -1.530 -22.980 25.271
H -0.982 -21.489 24.381
H -2.655 -22.784 23.307
C -7.617 -26.273 26.869
O -7.777 -25.960 28.275
H -7.826 -27.290 26.537
H -8.317 -25.605 26.367
H -6.613 -26.065 26.499
H -7.074 -26.259 28.857

Forces on atoms 1 to 2 (eV/Å):
-1.4 -0.9 -1.0
0.3 0.7 0.8
........
I made the bedding for our nursery. I didn't do the monogramming because my machine doesn't monogram that big, but I did make the bumper pads, the bed skirt, and the window treatment.
Have I mentioned that I LOVE my craft room? I made these Thursday night to give as a thank you gift. I love my embroidery machine and my cricut. It's a hand towel, a candle holder, and soap.
This was a baby shower gift I made for a friend at work. There is hand sanitizer (used my cricut to cut out the vinyl), a diaper/wipes case (made out of a placemat), a bib (made out of old blue jeans), a burp cloth and a wipes case.
I made this gift for my mom to give one of her friends. It's a candy dish with her initial, hand sanitizer with her initial, a post-it note holder with intial. There is also a cookie bouquet and I etched her intial onto the "vase" for the cookies.
One of my best friends has a little boy, so this summer, she and I decided to learn how to make reversible jon-jons. I had already made several jumpers for little girls, but had never made boy outfits.
We headed to Hobby Lobby to pick out material. Using my embroidery machine, I appliqued the football, the crab, the spider and the star. My friend made a crab applique, her little's boy initial applique, a worm applique and his monogrammed initials. I did not get a picture of his outfits, but here is a picture of my outfits. I left the blue and white jon jon blank to add initials later.